Nathan Good and Cennydd Bowles
September 2020
Weathering a privacy storm
Two years ago, the New York Times lifted the lid on the dangers of location tracking, but the tech industry shrugged. Now authorities are fighting back.

In a masterful 2018 exposé, Your Apps Know Where You Were Last Night, and They’re Not Keeping It Secret, four NY Times reporters traced individuals’ dermatology appointments, school routines, and even visits to Planned Parenthood, all interpreted from a database of cellphone locations. Reporters then re-identified members of the public from the supposedly anonymized data (with their consent) and relayed their discoveries, to considerable alarm.

“It’s very scary. It feels like someone is following me, personally… I went through all [my colleagues’] phones and just told them: ‘You have to turn this off. You have to delete this.’ Nobody knew.” —Elise Lee.

The tech industry was surprised too; however, their surprise stemmed from the public’s feigned ignorance — not from the revelations. Brian Wong from ad firm Kiip summed up the consensus: ‘You would have to be pretty oblivious if you are not aware that this is going on.’ How could it be that the status quo according to techies is also unheard of and scary to people? What’s at the root of this dramatic mismatch, what’s perpetuating it, and why are we seeing new headlines about it today?

Factors that contribute to broad misunderstandings of location

Based on our original research and others, here’s what we know about location data and how people perceive the collection and use of it.

It’s hard to tell when location data is being collected from your device

UC Berkeley research shows users have long been confused about when and how location data is accessed. You might wonder how that’s possible since the two major mobile platforms, iOS and Android, now have indicators to show when location data is accessed. We know of at least two contributing factors: not everyone knows to look for the new location indicator (in fact, effective passive indicators are quite difficult to design), and even if passive location indicators were effective at notifying the user, researchers collected evidence as recently as 2015 that Android doesn’t reliably show the indicator in all cases.

It’s difficult to tell how often location data is collected

There’s a big difference between allowing the collection of a single location data point, allowing a one-off trace to be collected, and persistent location tracking. And users have a hard time appreciating the difference. Advertisers and tech companies definitely understand the difference. Location has only modest value in isolation, but aggregated over time it yields powerful patterns and habits. Sample a user’s location for several weeks and you’ll learn where she lives, where she goes to work or school, and the common routes she takes. You’ll be able to identify a fleeting GPS blip as part of a user’s everyday routine, or as one of their deepest secrets. Historical location logs are certainly more valuable than one-off traces; as a result, they are also more powerful, and even dangerous.

It's difficult to understand re-identification risks

_These data records were left in the page by mistake_
********
Record 1
Below is C16H55NO25S as an isolated structure at a distorted geometry, with properties calculated with wB97M-V/def2-TZVPD.

The value obtained for the frontier orbital gap is 0.295 hartree. The calculation puts the highest occupied orbital energy at -8.019 eV. For the LUMO energy, the calculation gives 0.00 eV. As for the energy relative to the best compared isomer or geometry (same formula, charge and spin): 0.00 kJ/mol. The value obtained for the largest force on an atom is 2.07 eV/Å. The calculation puts the electronic energy at -80996.8263 eV.

CARTESIAN COORDINATES (ANGSTROEM)
C (4.284, -4.040, 1.928)
C (3.037, -3.478, 1.327)
O (1.957, -4.004, 1.481)
O (3.172, -2.304, 0.592)
C (2.842, -1.190, 1.388)
O (3.713, -0.558, 1.915)
C (1.370, -0.895, 1.515)
C (0.953, 0.487, 0.979)
C (-0.183, 1.097, 1.794)
C (-1.308, 0.099, 2.024)
C (-2.534, 0.923, 2.527)
N (-3.803, 0.549, 1.945)
C (-4.282, -0.783, 2.295)
C (-3.938, -1.915, 1.352)
C (-3.470, -3.105, 1.917)
C (-3.169, -4.222, 1.146)
C (-3.341, -4.172, -0.231)
C (-3.786, -2.994, -0.812)
C (-4.083, -1.889, -0.032)
O (-4.565, -0.749, -0.687)
C (2.043, 1.545, 0.805)
O (1.723, 2.226, -0.466)
S (1.434, 1.003, -1.462)
O (0.678, 1.387, -2.598)
O (2.541, 0.132, -1.713)
O (0.537, 0.205, -0.405)
H (5.176, -3.692, 1.418)
H (4.350, -3.730, 2.966)
H (4.243, -5.118, 1.862)
H (0.802, -1.636, 0.971)
H (1.116, -1.032, 2.560)
H (0.215, 1.493, 2.724)
H (-0.589, 1.943, 1.261)
H (-1.064, -0.664, 2.755)
H (-1.577, -0.327, 1.062)
H (-2.588, 0.903, 3.608)
H (-2.355, 1.946, 2.234)
H (-3.809, 0.724, 0.956)
H (-3.821, -1.037, 3.242)
H (-5.351, -0.736, 2.489)
H (-3.358, -3.167, 2.988)
H (-2.802, -5.128, 1.607)
H (-3.126, -5.031, -0.836)
H (-3.927, -2.968, -1.879)
H (-3.830, -0.135, -0.761)
H (1.980, 2.330, 1.544)
H (3.064, 1.216, 0.684)
O (-2.081, 2.344, -0.407)
H (-1.337, 2.069, -0.949)
H (-2.713, 2.730, -1.024)
O (0.460, 4.747, -2.057)
H (0.899, 4.078, -1.520)
H (-0.013, 4.232, -2.719)
O (-1.399, -6.370, 2.602)
H (-1.247, -7.298, 2.810)
H (-0.535, -5.956, 2.708)
O (3.748, 4.018, -2.484)
H (4.165, 3.332, -3.029)
H (3.300, 3.530, -1.789)
O (-0.652, 4.401, 1.784)
H (-0.042, 5.144, 1.702)
H (-1.113, 4.379, 0.930)
O (2.987, -6.536, 0.130)
H (2.300, -7.087, -0.266)
H (2.802, -5.660, -0.218)
O (4.354, 1.489, -3.661)
H (3.763, 1.049, -3.032)
H (4.928, 0.785, -3.986)
O (1.958, 6.578, 1.790)
H (2.290, 6.934, 0.959)
H (2.728, 6.176, 2.202)
O (7.165, 0.729, -4.380)
H (7.295, 1.672, -4.532)
H (7.658, 0.550, -3.573)
O (-1.850, 5.744, -0.502)
H (-1.096, 5.425, -1.023)
H (-2.476, 6.044, -1.176)
O (-2.802, 6.822, -3.048)
H (-2.219, 7.578, -3.174)
H (-3.272, 6.740, -3.888)
O (-2.676, 5.630, -5.677)
H (-2.215, 5.014, -5.098)
H (-3.181, 5.070, -6.275)
O (0.748, -8.403, -1.614)
H (1.209, -8.916, -2.285)
H (0.363, -9.064, -1.030)
O (-4.575, -6.318, -2.449)
H (-4.271, -7.028, -1.875)
H (-5.183, -6.747, -3.058)
O (-2.278, 3.298, 4.413)
H (-2.042, 4.123, 3.969)
H (-2.875, 3.563, 5.119)
O (-4.860, -0.345, 5.419)
H (-4.592, 0.475, 4.989)
********

Consent UIs and privacy notices often stress that data is anonymized and therefore safe. However, the details matter: what data is collected, is it combined with other data sources, and how is the data anonymized? By and large, it’s more accurate to say that the data is de-identified than it is to say it’s anonymized. Why does it matter and when should you care? Poorly implemented assurances of anonymity can often be crowbarred open with algorithms, persistence, and the right supplementary data. In 2006, two researchers combined Netflix and IMDb data to re-identify users on both services and deduce their political preferences. By cross-referencing US census data with electoral rolls, Harvard professor Latanya Sweeney was able to identify more than half of the US population using just gender, date of birth, and town of residence. These examples illustrate how re-identification of individuals in a dataset can be trivial if the de-identification techniques are weak. It’s both difficult to understand what makes for effective de-identification and to verify when a company has implemented it in their systems.

Users don’t understand how tech companies use location data

As the NY Times article points out, apps with obvious location needs – traffic, weather, maps, etc – frequently also use this location data for un- or under-disclosed purposes like ad targeting.

The law is watching

While these mismatches persist, authorities will naturally be on alert. The main players in the Western world – the EU, state regulators, and the FTC – have been actively monitoring company’s use of data for years, but a recent case shows that local authorities are watching too.

In 2019, LA City Attorney Mike Feuer sued TWC Product and Technology (TWC), operators of The Weather Channel mobile app, along with their parent company IBM. The suit alleged that TWC and IBM misused location-tracking technology to persistently monitor users and shared that information with third parties without adequate disclosure. The City Attorney argued this amounted to deceptive, misleading, and unfair practice that violated the Unfair Competition Law.

‘For years, TWC has deceptively used its Weather Channel app to amass its users’ private, personal geolocation data — tracking minute details about its users’ locations throughout the day and night, all while leading users to believe that their data will only be used to provide them with ‘personalized local weather data, alerts and forecasts.’ —text from initial lawsuit.

Below we have a picture of TWC’s app’s original iOS screen and disclosure:

iOS screen

The case alleged that TWC took advantage of the gap between what users thought was happening based on their mental model of mobile apps and permissions and what actually was happening: a typical feature of dark patterns.

After the lawsuit was filed, the disclosure was updated to the following:

iOS disclosure

First let’s talk about this screen from the design – as opposed to the legal – perspective. Many of the design choices might bias users towards granting access:

  1. The use of when, not if, presumes consent before it is given.
  2. Data use cases are buried in the middle of a paragraph.
  3. The accept button has much stronger visual weight than the decline button; it even appears to already be selected.
  4. The decline button isn’t styled like a button.
  5. The label ‘Turn Location Off’ suggests declining automatic access will render the app inoperable.

The two parties recently agreed to a court-approved settlement. The settlement specifies that TWC must implement the following changes:

  1. Update the copy on both this disclosure screen and the linked Learn More screen, to make it clear that location is collected over time.
  2. Update the copy to make it clear that the company is recording profiles on users with the collected location data.
  3. Eliminate the priming language by changing the “when’s” to “ifs”.
  4. Update the copy to clarify that the app is still usable if location access is not granted; users can simply enter a location by hand.

Additionally, separate from the court approved settlement, IBM agreed to donate equipment and infrastructure to LA’s Covid-tracing efforts.

What does this mean for people building end user products?

So, in what way is this anything more than a minor quibble over language? If the problem can be resolved with simple copy changes, was it really that big of a deal? Not so fast. We think tech teams should note this settlement with interest, and take heed of several lessons.

Lesson 1: Privacy policies aren’t get-out clauses

We all know users don’t read privacy policies. Authorities and regulators know that too. TWC argued all the relevant disclosure was provided in the privacy policy, meeting the requirements of the California Online Privacy Protect Act (CalOPPA). Not good enough, countered Feuer, arguing that this info, to the extent it was provided at all, was effectively buried in a 10,000-word policy, hampering transparency and informed consent. In some cases, information such as using location history to build user profiles was not disclosed at all.

One lesson from this case is that designers should strongly lean to communicating sensitive data use cases, along with their longer-term implications, at the moment of need. Tucking them into a privacy policy is no longer enough. In the words of Maneesha Mithal, a privacy official at the Federal Trade Commission: ‘You can’t cure a misleading just-in-time disclosure with information in a privacy policy.’ It’s best to provide all relevant information at the moment that permission to collect the data is requested, as advised in Apple’s Human Interface Guidelines. You can also request permission at launch, which is understood to be less effective than providing context in the moment, but may be necessary for certain scenarios.

Lesson 2: OS prompts aren’t get-out clauses, either

Mobile OS prompts have become more specific and granular overtime. Today, both iOS and Android initially only allow location permission to be granted on a one-time basis or when the app is foregrounded. Only once a user accepts foreground access and continues using the app is the option to request background access unlocked.

This tightening of options is good news for consumers; it makes it harder for developers to unfairly exploit location information, and ensures use cases are transparent and relevant. But we mustn’t assume these OS controls solve privacy problems alone.

The initial TWC suit predates some more recent evolutions in OS location controls, but even now it’s clear that the multiple purposes for which TWC used location simply wouldn’t fit within the short ‘purpose string’ available in mobile permission dialogs.

iOS dialog
Lesson 3: Establish and respect contextual integrity

Some older definitions and approaches to privacy don’t suit the new information habits emerging technologies have unleashed. One way to model what’s acceptable to users is to think of data use relative to contextual integrity. From this perspective, privacy is primarily about norms. In everyday life, people don’t see privacy in black and white; there are no expectations that cover all cases, no clear delineation between public and private. Instead, people mould their privacy expectations and behaviors according to circumstance.

In 2004, when she proposed Contextual Integrity, Nissenbaum argued privacy norms depend on the sender, the recipient, the subject, the types of information, and what she terms the principles of transmission: the justification for and purpose of the exchange, almost an implicit promise between the parties on how to appropriately treat this information. A romantic secret whispered into a friend’s ear implies certain norms; sending credit card details to an e-commerce site establishes quite different ones. Contextual integrity, then, is about handling personal information in ways that respect the appropriate norms. Respect the norms and you’re probably behaving well; contravene them and you may be violating privacy.

Digital designers should be nodding their heads here: this is well aligned with the familiar UX research and design process. To respect contextual integrity, we should first identify these privacy norms through research, looking particularly at the variables Nissenbaum suggests. Then we should design flows and interfaces that map well to these mental models and expectations we’ve uncovered.

It’s clear to us that the TWC lawsuit was fundamentally addressing an alleged violation of contextual integrity. The general public will naturally expect a weather app to use location data to provide a weather forecast; but by tracking location histories and sharing location data with others, TWC was in violation of contextual integrity. The lawsuit suggests that just because a user gave location permission (whether they had read a privacy notice or not), if the eventual use of that data violates contextual integrity, an app may be on slippery ground.

Lesson 4: Privacy risks are closer, and more varied, than you think

The last decade has seen a range of new privacy texts, from GDPR to the CCPA and Brazil’s new LGPD. But although every regulation eventually settles on an agreed wording, interpretation and enforcement are fluid for years thereafter. Even the most precise regulation is finally understood only through a prolonged dance of oversteps, challenges, and wing-clips of lawsuits, prosecutions, and test cases.

Even if you think your design meets the letter of the law, it may still attract a legal challenge. This is particularly true with emerging technologies: the new information habits they allow are often fertile grounds for regulators and law enforcement agencies looking to test the boundaries of new laws.

Although the TWC settlement isn’t a finding of guilt or violation, it will nevertheless influence future cases, acting as a warning to tech companies to not be tempted to violate contextual integrity and emerging privacy law. Authorities are starting to watch closely, and alongside high-profile sources like the FTC, the EU, or national information commissions, these authorities include local law enforcement, increasingly willing to take rapid, almost entrepreneurial action against perceived violations.

The risks involved aren’t just financial or regulatory. Sure, fines and compensations can be painful – just ask British Airways, landed with a £183 million GDPR fine – but as consumers and press learn more about privacy, reputational risks also become deep. These risks can even extend to hiring: tech workers are becoming increasingly mobilized against unethical practice, with reports that certain tech giants have seen candidate acceptance rates plummet as potential employees reject firms with toxic reputations.

Privacy issues therefore have far deeper implications than you might think. They affect product management and design, not just legal and engineering; they hurt customer and staff retention, not just the legal budget. Privacy is a contest that no one should want to lose.